~~~
Record 1
DFT (r2SCAN) results for a relaxed structure of NpAs2.

Spin magnetization = 1.00 μB per atom
ΔE_f = -2.81 eV per formula unit
Electronic total energy = -230.50 eV per cell
Density = 9.80 Mg/m³

```
data_NpAs2
_cell_length_a 3.992
_cell_length_b 3.992
_cell_length_c 8.230
_cell_angle_alpha 90.00
_cell_angle_beta 90.00
_cell_angle_gamma 90.00
_symmetry_space_group_name_H-M 'P 4/n m m'
_symmetry_Int_Tables_number 129
loop_
_symmetry_equiv_pos_as_xyz
'x,y,z'
'-x,-y,-z'
'-y+1/2,x,z'
'y+1/2,-x,-z'
'-x+1/2,-y+1/2,z'
'x+1/2,y+1/2,-z'
'y,-x+1/2,z'
'-y,x+1/2,-z'
'x+1/2,-y,-z'
'-x+1/2,y,z'
'-y,-x,-z'
'y,x,z'
'-x,y+1/2,-z'
'x,-y+1/2,z'
'y+1/2,x+1/2,-z'
'-y+1/2,-x+1/2,z'
loop_
_atom_site_label
_atom_site_fract_x
_atom_site_fract_y
_atom_site_fract_z
_atom_site_occupancy
Np1 0.250 0.250 0.216 1
As1 0.250 0.250 0.859 1
As2 0.250 0.750 0.500 1
```



Record 2
DFT (r2SCAN) results for a relaxed structure of LiHoSn.

Spin magnetization = 0.00 μB per atom
ΔE_f = -2.25 eV per formula unit
Electronic total energy = -498.15 eV per cell
Density = 7.09 Mg/m³

```
data_LiHoSn
_cell_length_a 9.2826
_cell_length_b 9.2826
_cell_length_c 7.3002
_cell_angle_alpha 90.00
_cell_angle_beta 90.00
_cell_angle_gamma 120.00
_symmetry_space_group_name_H-M 'P 63 m c'
_symmetry_Int_Tables_number 186
_symmetry_space_group_name_Hall 'P 6c -2c'
loop_
_atom_site_label
_atom_site_fract_x
_atom_site_fract_y
_atom_site_fract_z
_atom_site_occupancy
Li1 0.1672 0.3344 0.0000 1
Li2 0.3333 0.6667 0.3816 1
Ho1 0.0000 0.0000 0.2089 1
Ho2 0.0238 0.5119 0.7036 1
Sn1 0.1667 0.3335 0.4402 1
Sn2 0.3333 0.6667 0.9702 1
```
~~~

Find the line further above that holds "9.80 Mg/m³", then repeat that line and all lines after it there.

Density = 9.80 Mg/m³

```
data_NpAs2
_cell_length_a 3.992
_cell_length_b 3.992
_cell_length_c 8.230
_cell_angle_alpha 90.00
_cell_angle_beta 90.00
_cell_angle_gamma 90.00
_symmetry_space_group_name_H-M 'P 4/n m m'
_symmetry_Int_Tables_number 129
loop_
_symmetry_equiv_pos_as_xyz
'x,y,z'
'-x,-y,-z'
'-y+1/2,x,z'
'y+1/2,-x,-z'
'-x+1/2,-y+1/2,z'
'x+1/2,y+1/2,-z'
'y,-x+1/2,z'
'-y,x+1/2,-z'
'x+1/2,-y,-z'
'-x+1/2,y,z'
'-y,-x,-z'
'y,x,z'
'-x,y+1/2,-z'
'x,-y+1/2,z'
'y+1/2,x+1/2,-z'
'-y+1/2,-x+1/2,z'
loop_
_atom_site_label
_atom_site_fract_x
_atom_site_fract_y
_atom_site_fract_z
_atom_site_occupancy
Np1 0.250 0.250 0.216 1
As1 0.250 0.250 0.859 1
As2 0.250 0.750 0.500 1
```



Record 2
DFT (r2SCAN) results for a relaxed structure of LiHoSn.

Spin magnetization = 0.00 μB per atom
ΔE_f = -2.25 eV per formula unit
Electronic total energy = -498.15 eV per cell
Density = 7.09 Mg/m³

```
data_LiHoSn
_cell_length_a 9.2826
_cell_length_b 9.2826
_cell_length_c 7.3002
_cell_angle_alpha 90.00
_cell_angle_beta 90.00
_cell_angle_gamma 120.00
_symmetry_space_group_name_H-M 'P 63 m c'
_symmetry_Int_Tables_number 186
_symmetry_space_group_name_Hall 'P 6c -2c'
loop_
_atom_site_label
_atom_site_fract_x
_atom_site_fract_y
_atom_site_fract_z
_atom_site_occupancy
Li1 0.1672 0.3344 0.0000 1
Li2 0.3333 0.6667 0.3816 1
Ho1 0.0000 0.0000 0.2089 1
Ho2 0.0238 0.5119 0.7036 1
Sn1 0.1667 0.3335 0.4402 1
Sn2 0.3333 0.6667 0.9702 1
```